How to use the Raga App

The RagaApp Cookbook (Part II) – The Tools

This is part II of the tutorial series that explain the various learning tools that are present in the Raga App. If you are looking for a crash course on the basics of Raga App, you can start here. Note: Although this article was written explaining the features from the point of view of Carnatic ragas, we now support Hindustani also, so you can use these tools the exact same way for both Carnatic as well as Indian/Hindustani ragas!

We started off RagaApp as a simple swara mapping tool. It has evolved since then, and now contain various tools that will help you explore the world of carnatic (edit: now Hindustani also!) music and understand the nuances in the structures and sounds of the various ragas. In a nutshell, we have three different display modes to help you visualize ragas better, we have the swara and note filters to help you explore the relationships between ragas and we have the scale and chord comparison modes to help you find connections between western and carnatic/hindustani music. I will explain each of them in detail through the sections below.

Display modes

_These data records were left in the article by mistake_
~~~
(1)
Formula: C19H12CaN7
Source: the Open Molecules 2025 dataset
Level of theory: ωB97M-V/def2-TZVPD

Output
**Strongest force on any atom**: 0.6 eV/Å
**Total charge**: +1
**Lowest unoccupied orbital energy**: -4.288 eV
**HOMO-LUMO gap**: 6.7172 eV
**Highest occupied orbital energy**: -11.00 eV
**E_tot**: -1791.95614 hartree

Positions of all 39 atoms, in Å:
Ca 0.75 0.94 -3.24
C -2.10 4.19 -2.47
C -0.85 3.70 -2.75
N -0.31 2.65 -2.07
C -1.26 1.93 -1.33
C -2.27 2.79 -0.70
N -2.71 3.83 -1.31
C -0.63 0.85 -0.47
C -1.14 0.38 0.72
C -0.46 -0.62 1.41
C 0.72 -1.13 0.86
C 1.16 -0.63 -0.36
N 0.49 0.33 -0.99
C 2.37 -1.11 -1.07
C 3.31 -1.95 -0.48
N 4.38 -2.39 -1.12
C 4.54 -1.99 -2.38
C 3.62 -1.14 -2.98
N 2.55 -0.70 -2.34
C -0.97 -1.13 2.69
C -0.98 -2.50 2.97
C -1.48 -2.93 4.19
N -1.95 -2.10 5.12
C -1.94 -0.80 4.85
C -1.47 -0.27 3.66
H -2.53 5.00 -3.03
H -0.22 4.20 -3.47
H -2.68 2.55 0.28
H -2.07 0.76 1.12
H 1.26 -1.90 1.38
H 3.20 -2.28 0.55
H 5.41 -2.35 -2.91
H 3.77 -0.82 -4.00
H -0.63 -3.22 2.24
H -1.51 -3.98 4.43
H -2.32 -0.15 5.63
H -1.47 0.80 3.50
N -1.62 0.27 -3.53
C -1.94 0.93 -2.63



(2)
Formula: C30H55ClP2Si2Zr
Source: the Open Molecules 2025 dataset
Level of theory: ωB97M-V/def2-TZVPD

Output
**Strongest force on any atom**: 1.5 eV/Å
**Lowest unoccupied orbital energy**: -0.885 eV
**HOMO-LUMO gap**: 3.2437 eV
**Highest occupied orbital energy**: -4.13 eV
**E_tot**: -2945.02825 hartree

Positions of all 91 atoms, in Å:
Zr 0.04 -0.11 0.32
C 1.91 -1.65 -0.40
C 0.69 -2.29 -0.75
C 0.02 -1.41 -1.70
Si 0.14 -3.99 -0.15
C 0.84 -0.26 -1.90
C 2.04 -0.40 -1.06
Si 3.55 0.70 -0.98
H 2.64 -2.03 0.31
H -0.85 -1.67 -2.30
H 0.68 0.50 -2.65
Cl -1.88 1.38 0.05
C 4.90 -0.07 0.05
C 4.08 0.90 -2.76
C 1.56 -4.90 0.63
C -0.45 -4.92 -1.65
H 4.18 -0.11 -3.19
H 5.05 1.42 -2.83
H 3.35 1.46 -3.35
H 4.58 -0.25 1.09
H 5.76 0.61 0.06
H 5.21 -1.02 -0.40
H 0.37 -4.90 -2.38
H -1.35 -4.48 -2.10
H -0.67 -5.97 -1.38
H 2.20 -5.29 -0.18
H 1.18 -5.73 1.24
H 2.13 -4.21 1.26
C 3.06 2.32 -0.12
C -1.18 -3.65 1.15
P 1.26 2.59 -0.28
H 3.66 3.15 -0.52
H 3.28 2.27 0.96
P -1.88 -1.99 0.87
H -0.69 -3.71 2.13
H -1.98 -4.41 1.10
C -2.83 -1.55 2.40
C -3.20 -2.38 -0.41
C 1.05 3.33 -2.00
C 0.90 4.12 0.74
C -0.21 3.89 1.76
H 0.50 4.83 -0.01
C 2.14 4.78 1.38
H 2.74 4.08 1.98
H 1.80 5.59 2.04
H 2.81 5.24 0.63
H -1.11 3.49 1.28
H -0.49 4.84 2.22
H 0.08 3.20 2.57
H 1.48 2.57 -2.68
C 1.80 4.65 -2.22
C -0.44 3.49 -2.33
H 2.89 4.52 -2.21
H 1.54 5.41 -1.47
H 1.52 5.07 -3.20
H -0.96 2.53 -2.31
H -0.55 3.93 -3.34
H -0.95 4.16 -1.62
H -2.64 -2.84 -1.24
C -3.87 -1.10 -0.91
C -4.27 -3.37 0.07
H -3.86 -4.36 0.30
H -5.02 -3.50 -0.72
H -4.79 -2.98 0.96
H -3.15 -0.41 -1.35
H -4.39 -0.57 -0.10
H -4.62 -1.35 -1.68
C -2.08 -0.49 3.22
C -3.19 -2.73 3.30
H -3.75 -1.10 2.00
H -2.30 -3.19 3.74
H -3.78 -3.50 2.80
H -3.80 -2.33 4.13
H -1.10 -0.86 3.57
H -2.68 -0.25 4.11
H -1.92 0.43 2.66
C -3.89 2.76 -0.57
H -3.95 2.52 -1.64
H -4.58 2.25 0.11
H -3.51 3.75 -0.30
C 3.23 -0.46 4.42
C 2.88 0.74 3.78
C 1.84 0.77 2.83
C 1.26 -0.43 2.38
~~~

The fundamental advantage of the raga app is that you get an immediate visual clue on the raga structure. This is in contrast to the typical case where you are just looking at the notes that have been written down and then trying to play them on an instrument. However, we didn’t want to stop just there! We started thinking about other aspects of the raga that would be help of when you are trying to learn them. We came to the conclusion that any raga can be visualized in three ways and hence added the three distinct display options that are available in the app now.

Display mode selection buttons

These options appear as a button set on top of the instrument view. If you notice the text in them, you would see the exact sequences present in the raga (including the vakra structure).

Tip: You can use the Arohana/Avarohana buttons shown on the bottom left of the instrument view to toggle between the ascending or descending progressions of the raga. If the ascending and descending structures of the raga are the same, these buttons would appear disabled and faded out.

1) Note display

Raga notes displayed on keyboard

This is the view of the raga in the regular western notation and hence connects the raga structure to the equivalent western notes. Since most of us are familiar with the western notes associated to each fret or key on our instrument (if not, you should be!), this is the most natural way to look at and understand ragas.

2) Swara display

Raga swaras displayed on Guitar

This is the sa, ri, ga, ma notation that most of you must be familiar with. if not, you can read up this article from Wikipedia. The usefulness of seeing the swaras directly on the fretboard is that you can use the same when trying to play songs that have been transcribed in the carnatic/hindustani notation. For eg, if you are looking at the transcription of the famous song Vathapi Ganapathim, you can select the swara display for Raga Hamsadhwani and start playing verses right away.

3) Interval display

Raga intervals displayed on Guitar

This is the view where each note in the raga is displayed as the corresponding interval from the western system. This view lets you think of the raga in terms of the distance between notes rather than their absolute positions. Understanding the interval structure of the raga will also help you figure out the chords to be used while harmonizing songs based on it.


These three views also play an important part in helping you explore raga families using our swara and interval filters (explained later in the post)



The Scale comparison tool

Are you curious about how the notes of any raga compare against the western scales that you are familiar with? For eg, did you know that the notes of Raga Mohanam is the same as those of Pentatonic Major or that you get the notes of Raga Kalyani if you alter just the 4th note of a Major scale? If you didn’t, start finding out now! Our western scale overlay is the perfect tool to compare the notes of a raga against all of the standard scales in western music.

To use the overlay, you first select the raga that you want to explore. Then select any of the available scales from the overlay section (present as a button set just above the raga list buttons). Once you have done that, you would notice that the instrument view is displaying the notes of both the raga and the scale. To distinguish between them, we use the following color code (see the diagram below for a more visual description)
a) Regular blue or red notes – These are the notes that are common to both the raga and the scale
b) Faded blue or red notes – These are the notes that are present in the raga, but not in the scale
c) Faded grey notes – These are the notes that are present in the scale, but not in the raga
d) Notes with red border – In addition to the above, we mark all the faded notes (both b & c) with a red border so that you can distinguish them even better

Scale comparison – Guitar
Scale comparison - Keyboard
Scale comparison – Keyboard

If you mouse over the faded grey notes, you can make just the scale notes stand out, and similarly, if you mouse over the faded red or blue notes, you can get just the raga notes to stand out. In short, with this overlay, you can quickly visualize and understand ragas in the context of the western scales that you are already familiar with. Don’t forget to try out the western overlay in conjunction with the swara and interval views as well, you might be surprised at the insights you get after analyzing ragas this way!

While you select a western scale, you would also notice a legend that appears below the instrument view. That will give you a quick summary of how similar the raga and the chord notes are. You would see messages like “All the notes of the Scale and Raga match!” or ones like “Common Notes (2) Notes not present in Raga (5) Extra Notes in the Raga (5)”. You would be able to mouse over the links to highlight the corresponding notes. For eg, hovering over the first link would highlight all the notes that are present in the scale, but not in the raga, whereas hovering over the second link would highlight all the (extra) notes in the raga that are not present in the scale.


The Chord comparison tool

The quintessential question in everyone’s mind – will this chord fit well if I play it against this raga? While we would have loved to build a tool that would magically figure out all the perfect chords for you to play, we decided to stop a bit short and let your imaginations fill in the rest…he he. Anyways, the first step to tackle this question is to understand how a given chord stacks up against the raga notes and what differs between them. If they match, well, you have a plain old good-fit-chord. If not, that might be even better! Do the differences compliment the harmony or do they disrupt it? You never know what note additions are going to bring out that fusion groove that you always dreamed about.

The chord overlay option in our app lets you select some of the standard chord families and fingerings and super impose them on any given raga. The list of available chords/patterns are present in the chord menu to the left of the instrument view. Once you select a chord, both the chord and the raga patterns are displayed together on the instrument view and you get a quick glimpse of the notes that are similar to either.

Moreover, our app lets you drag and drop both raga as well as the chord patterns, so that you can experiment with the various playing positions and fingerings that are available. Check out the small pin that appears on the top left of any chord pattern. You can drag and drop the pin onto available slots, just like your root notes. In addition to that, you would also see a label next to the pin that shows the currently selected chord and a small icon that you can click to close the chord view. Once you start dragging the pin, we highlight the possible locations that you can drop it. Note that the chord display and labels change in real time (while you are dragging the pin) so that it’s easier for you to try out different chord positions and select an appropriate root note for the chord.

We use the following color codes to help you distinguish between the chord and raga structures (See the diagram below for a more visual description)

**Molecular data, kept here for reference**
********
[1]
{"formula": "C18H23CeCl3F3N5OS", "method": "wB97M-V/def2-TZVPD", "symbols": ["Ce", "N", "C", "C", "N", "C", "C", "N", "C", "C", "N", "H", "H", "H", "H", "H", "H", "H", "H", "H", "H", "H", "H", "H", "H", "H", "H", "H", "H", "F", "C", "F", "F", "C", "C", "C", "C", "N", "C", "S", "H", "H", "H", "Cl", "C", "C", "C", "Cl", "C", "O", "C", "Cl", "C", "H", "H"], "coordinates": [[0.07, 0.15, 0.13], [-2.64, -0.08, 0.04], [-3.21, -0.21, -1.32], [-2.44, -1.28, -2.09], [-0.97, -1.22, -1.92], [-0.33, -0.48, -3.03], [-0.83, 0.95, -3.16], [-0.60, 1.72, -1.91], [-0.44, -2.60, -1.86], [1.01, -2.71, -1.41], [1.15, -2.21, -0.03], [-2.80, -0.94, 0.56], [-3.17, 0.63, 0.54], [-3.15, 0.76, -1.79], [-4.26, -0.51, -1.30], [-2.71, -1.23, -3.15], [-2.79, -2.25, -1.74], [-0.49, -1.00, -3.98], [0.75, -0.44, -2.84], [-1.89, 0.96, -3.40], [-0.31, 1.41, -4.01], [-1.22, 2.53, -1.90], [0.35, 2.08, -1.94], [-0.55, -3.10, -2.83], [-1.04, -3.15, -1.13], [1.67, -2.13, -2.05], [1.30, -3.76, -1.50], [2.14, -2.19, 0.22], [0.72, -2.86, 0.62], [-3.39, 0.27, 5.80], [-2.64, -0.25, 4.82], [-1.71, -1.01, 5.40], [-3.45, -1.06, 4.10], [-2.07, 0.84, 3.95], [-2.36, 2.16, 4.25], [-1.88, 3.17, 3.42], [-1.16, 2.80, 2.32], [-0.86, 1.53, 2.00], [-1.27, 0.53, 2.82], [-0.79, -1.08, 2.44], [-2.95, 2.40, 5.12], [-2.09, 4.21, 3.64], [-0.78, 3.56, 1.64], [7.53, 0.19, 0.52], [5.87, 0.33, 0.08], [4.90, 0.44, 1.06], [3.58, 0.54, 0.67], [2.31, 0.63, 1.87], [3.16, 0.54, -0.66], [1.89, 0.65, -0.99], [4.18, 0.41, -1.61], [3.71, 0.37, -3.28], [5.51, 0.31, -1.27], [5.18, 0.46, 2.10], [6.27, 0.21, -2.03]], "homo_ev": [-10.9, -10.9], "relative_energy_kj_mol": 16.3, "max_force_ev_per_a": 1.445, "gap_ev": [8.423, 8.462], "lumo_energy_ev": [-2.45, -2.45], "spin_multiplicity": 2, "molar_mass_g_mol": 660.95, "charge": 1}

---

[2]
********

a) Regular blue or red notes – These are the notes that are common to both the raga and the chord
b) Faded blue or red notes – These are the notes that are present in the raga, but not in the chord
c) Faded grey notes – These are the notes that are present in the chord, but not in the raga
d) Notes with an orange border – In addition to the above, we mark all the chord notes with an orange border so that you can easily distinguish the chord pattern at a glance

Chord comparison - Keyboard
Chord comparison – Keyboard
Chord comparison - Guitar
Chord comparison – Guitar

Similar to the western scale overlay, you get to see the chord or raga patterns individually when you mouse over the faded notes. And you would also see a similar legend appearing below the instrument view that lets you know how well the chord notes match against the raga notes.

using filters

The Swara and Interval filters

Have you ever wanted to find all the ragas that have a Suddha Madhyamam (M1) or to get a list of all ragas that have, say, a major third at the Ga note position and a minor 7th at the Ni note position? If you keep having similar questions in your mind, our note and interval filters are the

perfect solution!. The filter tool appears just below the raga lists and the search box and show a list of buttons that let you select swara/interval groups for different positions in the raga.

Follow the steps below to get started on the filters
1) Select a raga list that you are interested in.
2) Make sure you have the right type of filter selected (The swara/interval toggle button is the small icon with double arrows that appear to the left of the button set) If you want to explore ragas based on the notes they contain, select the swara filter view (this shows the buttons with Carnatic swaras like S1, G1 etc or Hindustani swaras like g, M etc marked on them ) or if you want to explore ragas based on the intervals they contain, select the interval filter view (this shows the buttons with western interval names like maj 2nd, min 7th etc marked on them)
3) Start selecting the swara or interval combinations that you expect to be present in raga. Once you start selecting the buttons, you would notice the contents of the raga list changing accordingly. When you select a particular swara/interval, you are essentially saying that you want to see only ragas that have that swara/interval in that particular slot.

Swara and Interval filters explained

Each button group represents a slot in the eight note raga notation (Sa, Ri, Ga, Ma, Pa, Da, Ni Sa) ie, the first group (only one swara) is the root or Sa. The second group represents the three possible variations of Ma (or their equivalent intervals), the fourth group represents the two possible variations of Pa etc. For eg, if you select R1, you get to see all ragas that have an R1 in them. Or if you select M3 from the third set, you get to see all ragas that have a Major 3rd in their Ma position

Note: Some of the combinations you select may not yield any results – for eg, if you select R3 from Ri set and G1 from the Ga set, you won’t find any ragas! This is because the R3 note represents a minor 3rd interval and the G1 note represents a Major 2nd interval. So you are essentially asking for ragas that contain the third note which is a step backwards from the 2nd note, which obviously can’t happen!


So there goes the Raga App features in a nutshell. Hope this post helped you understand the cool new features that we have included in the app and we are looking forward our app spicing up your journey into the realm of Indian classical ragas. Any questions still lingering on your mind, feel free to write to us!

The RagaApp Cookbook (Part II) – The Tools Read More »

The RagaApp Cookbook (Part I) – All that you were afraid to ask about the app, and more…

This is part I of the tutorial series that explain all the features present in that Raga App, the tool that lets you explore and learn both Carnatic as well as Indian Classical (Hindustani) Ragas. If you are looking to get details of the advanced tools present in the app, check out part II of this series

Once we started sending out invites for the preview of RagaApp 2.1, we started getting questions from many users regarding some of the more complex tools that we had added. There were also some questions regarding some of the basic functionalities of the app, that we had assumed to be obvious to the users! Anyways, I always wanted to write a post about the thinking process that goes behind the features we create. So here is a two part post about the basic app as well as the various tools it provides

One app to map them all

Each app has to start somewhere, so the basic question was – given a raga, can you show the user where the notes appear on their guitar or on their keyboard instruments like piano, harmonium etc? So we started off the app with its lists of ragas and the fretboard and the keyboard view. To figure out the notes of the raga and how to play them, all you need to do is to select your instrument type and pick up a raga from the list. We started off with Carnatic and added a small list of popular ragas, then the 72 melakartas and finally a full fledged list of over 870 janyas upon launching the pro version. (Edit: And then we moved on to cover Hindustani ragas as well! We have added a similar set with 15 popular ragas, 10 Thaats and a full set of over 70 ragas). So we essentially give you data on all the Carnatic and Hindustani ragas you ever need, at a single place!

Raga mapping – In Steps

There are three aspects to playing a raga – pick the raga you need, decide the root note to use and then find which locations on the fretboard/keyboard that corresponds to the raga notes. Lets see how you can do these steps using our app

1) Choosing a raga

You can do it in two ways – You can select a raga list and then pick a raga from it. There are many lists to choose from – list of popular ragas for beginners, the complete melakarta/thaat set and bigger lists that contain most carnatic/hindustani ragas that you will ever encounter. Or you can search for a raga. Once you start typing in the raga search box, you would get a drop down containing the matches. Pick any one to proceed.

2) Choosing the root note

If you look at a typical music app on the web, you see a bunch of drop-downs or select boxes that let you decide the root note, fret etc etc. When we thought about it, we felt that the easiest way to manipulate and visualize notes is to move them around the same place that you play them. So, in our app, you can just drag and drop the root notes to where you want them to be! This lets you select the root note in the keyboard view or the root note and the playing position in the guitar view. (Tip: The root notes of a raga are always marked red whereas the rest of the notes are marked in blue color).

You will notice a draggable hand cursor appear as you mouse over the root notes and once you start dragging the note, you would see drop areas that appear as you move between frets/keys. You can drop the note in any of those locations and the root of the scale will be changed appropriately. If you drop the root note anywhere in between by mistake, it automatically reverts back to where it was.

3) Choosing a pattern

The pattern selection buttons on the bottom-right of the fretboard/keyboard view allows you to adjust how the note structures are displayed.

The raga pattern (for the guitar app)

If you think about playing western scales on a guitar, its simple. You master the CAGED patterns and you are pretty much set to cover most of what a typical guitarist plays. But things get tricky when you get into the realm of ragas. The plethora of ragas with their non-uniform interval structures make it difficult to stick to a generic pattern plan for all of them. Since we couldn’t create and hard code all the possible raga patterns, we began to think of a way to automatically generate them.

Whenever we play any scale on the guitar fretboard, we are subconsciously trying one of these – we move horizontally without moving our wrist much, in the typical CAGED mode, or we go up or down the fretboard trying to reach a new position to start off the next line. This is exactly what we wanted to replicate in the automatic pattern generation.

Fretboard Patterms
Different fretboard patterns – i) walkdown ii) box iii) walkup iv) all notes

So, you have the three pattern modes
1. Box – playing horizontally without moving your wrist position much
2. Walk up – playing notes and trying to move up the fretboard
3. Walk down – playing notes and trying to move down the fretboard
4. All Notes – We added this view so that you can get a quick glance of all the note positions in one shot

Note: some of the root/pattern combinations you choose may not produce a complete pattern on the guitar fretboard. This is usually due to lack of space on the above/below frets or starting from too high a string. When this happens, you would see a message that appears above the display that lets you know that the pattern you see is partial. When this happens, you can move the root note to an appropriate position so that there is enough space to render the pattern you need.

The raga pattern (for the keyboard app)

All notes on keyboard
All notes displayed on Keyboard

This is straightforward. The keyboard being a linear instrument, you can choose to see
1. Octave – One octave of the raga displayed starting on the note you selected
2. All Notes – You get to see around two octaves, which is the maximum that we could manage to fit on to the keyboard diagram

Well, that’s it! Three steps, and you are looking at your raga and its notes displayed on the instrument of your choice.

Now that the basic app was ready, the question was what else can we do?. So off we started on the various visual and exploration tools that are now part of the Raga App. I will get on to that in the next post. And as usual, do let us know if you have any troubles using the app.

The RagaApp Cookbook (Part I) – All that you were afraid to ask about the app, and more… Read More »